## Material
┌──
The following is a theoretical X-ray diffraction stick pattern of SmIn4Pt4. It was derived from a cell relaxed with GGA-PBE, using λ = 1.5418 Å (Cu Kα).
No peak broadening, texture or thermal motion is included.

Crystal structure
Unit cell a=8.909 b=8.909 c=5.386 alpha=90.00 beta=90.00 gamma=90.00
Fractional positions:
Sm: 0.250 0.250 0.250
Sm: 0.750 0.750 0.750
In: 0.094 0.643 0.153
In: 0.143 0.906 0.653
In: 0.357 0.594 0.653
In: 0.406 0.857 0.153
In: 0.594 0.143 0.847
In: 0.643 0.406 0.347
In: 0.857 0.094 0.347
In: 0.906 0.357 0.847
Pt: 0.041 0.613 0.657
Pt: 0.113 0.959 0.157
Pt: 0.387 0.541 0.157
Pt: 0.459 0.887 0.657
Pt: 0.541 0.113 0.343
Pt: 0.613 0.459 0.843
Pt: 0.887 0.041 0.843
Pt: 0.959 0.387 0.343

Most intense lines, 2θ from 10° to 90°, most intense first:
31.76°, intensity 100; 45.49°, intensity 64; 34.80°, intensity 41; 40.15°, intensity 28; 19.26°, intensity 26; 50.10°, intensity 24

The following is a theoretical X-ray diffraction stick pattern of Er4ScZn. It was derived from a cell relaxed with GGA-PBE, using λ = 1.5418 Å (Cu Kα).
No peak broadening, texture or thermal motion is included.

Crystal structure
Unit cell a=8.071 b=8.071 c=5.912 alpha=99.30 beta=99.30 gamma=115.92
Fractional positions:
Er: 0.083 0.710 0.942
Er: 0.195 0.381 0.650
Er: 0.290 0.917 0.558
Er: 0.381 0.195 0.150
Er: 0.619 0.805 0.850
Er: 0.710 0.083 0.442
Er: 0.805 0.619 0.350
Er: 0.917 0.290 0.058
Sc: 0.389 0.611 0.250
Sc: 0.611 0.389 0.750
Zn: 0.003 0.997 0.750
Zn: 0.997 0.003 0.250

Most intense lines, 2θ from 10° to 90°, most intense first:
33.48°, intensity 100; 32.58°, intensity 83; 36.24°, intensity 50; 34.57°, intensity 50; 30.98°, intensity 48; 25.41°, intensity 42

The following is a theoretical X-ray diffraction stick pattern of Li9Ti5Si2O16. It was derived from a cell relaxed with GGA-PBE, using λ = 1.5418 Å (Cu Kα).
No peak broadening, texture or thermal motion is included.

Crystal structure
Unit cell a=4.991 b=5.210 c=11.170 alpha=80.28 beta=85.81 gamma=80.43
Fractional positions:
Li: 0.000 0.000 0.000
Li: 0.243 0.417 0.061
Li: 0.247 0.939 0.560
Li: 0.249 0.170 0.310
Li: 0.257 0.688 0.823
Li: 0.743 0.312 0.177
Li: 0.751 0.830 0.690
Li: 0.753 0.061 0.440
Li: 0.757 0.583 0.939
Ti: 0.000 0.500 0.500
Ti: 0.001 0.257 0.751
Ti: 0.498 0.387 0.619
Ti: 0.502 0.613 0.381
Ti: 0.999 0.743 0.249
Si: 0.498 0.877 0.117
Si: 0.502 0.123 0.883
O: 0.122 0.593 0.661
O: 0.122 0.837 0.402
O: 0.164 0.049 0.154
O: 0.167 0.319 0.900
O: 0.375 0.275 0.467
O: 0.380 0.576 0.204
O: 0.382 0.053 0.740
O: 0.399 0.825 0.972
O: 0.601 0.175 0.028
O: 0.618 0.947 0.260
O: 0.620 0.424 0.796
O: 0.625 0.725 0.533
O: 0.833 0.681 0.100
O: 0.836 0.951 0.846
O: 0.878 0.163 0.598
O: 0.878 0.407 0.339

Most intense lines, 2θ from 10° to 90°, most intense first:
18.06°, intensity 100; 43.51°, intensity 32; 43.94°, intensity 32; 44.11°, intensity 31; 62.49°, intensity 17; 64.88°, intensity 15

The following is a theoretical X-ray diffraction stick pattern of Tb6Sm4Zr. It was derived from a cell relaxed with GGA-PBE, using λ = 1.5418 Å (Cu Kα).
No peak broadening, texture or thermal motion is included.

Crystal structure
Unit cell a=8.711 b=8.711 c=9.176 alpha=90.00 beta=90.00 gamma=90.00
Fractional positions:
Tb: 0.000 0.000 0.176
Tb: 0.000 0.000 0.824
Tb: 0.152 0.342 0.500
Tb: 0.158 0.348 0.000
Tb: 0.342 0.848 0.500
Tb: 0.348 0.842 0.000
Tb: 0.500 0.500 0.324
Tb: 0.500 0.500 0.676
Tb: 0.652 0.158 0.000
Tb: 0.658 0.152 0.500
Tb: 0.842 0.652 0.000
Tb: 0.848 0.658 0.500
Sm: 0.145 0.645 0.250
Sm: 0.145 0.645 0.750
Sm: 0.355 0.145 0.250
Sm: 0.355 0.145 0.750
Sm: 0.645 0.855 0.250
Sm: 0.645 0.855 0.750
Sm: 0.855 0.355 0.250
Sm: 0.855 0.355 0.750
Zr: 0.000 0.000 0.500
Zr: 0.500 0.500 0.000

Most intense lines, 2θ from 10° to 90°, most intense first:
30.09°, intensity 100; 32.50°, intensity 55; 60.71°, intensity 20; 51.87°, intensity 12; 65.58°, intensity 11; 47.37°, intensity 11
└──

## Work order
The reader should count the lines further up that contain the word "Zn" and give the number alone.

## Result
2